What Is an Upper Endoscopy and Why Is It Performed?
Endoscopy screening (including bowel cancer screening), diagnosis, and treatment for diseases affecting every part of the digestive system, from the upper esophagus, stomach, and small intestine to the colon, rectum, and anus, are all available at Manhattan Gastroenterology. Upper endoscopy (also known as EGD or endoscopy) is a non-surgical procedure that our doctors use to examine a patient’s upper digestive tract. An endoscope is a flexible tube with a light and camera at the end that allows your doctor to view pictures of your upper digestive tract on a screen.
The endoscope is a flexible, narrow tube about the size of a finger that is easily passed through the mouth and throat and into the esophagus, allowing visualization of the esophagus, stomach, and upper part of the small intestine. This procedure is also known as esophagogastroduodenoscopy (EGD) and upper GI endoscopy. At Manhattan Gastroenterology, we utilize this exam to diagnose a wide range of digestive disorders accurately. In our gold-star JCAHO-certified procedure room, we use cutting-edge high-definition endoscopy equipment for optimal visualization of the GI tract, allowing for a precise and detailed exam.
********
Entry 1:
Density functional theory data (PBE) for an optimized crystal structure of ZnCuAg2F6.

Output
Its crystal system is monoclinic. For the formation energy (no corrections), the calculation gives -1.53 eV/atom.

CIF file:
```
data_ZnCuAg2F6
_chemical_formula_sum 'Zn2 Cu2 Ag4 F12'
_cell_length_a 5.533
_cell_length_b 5.586
_cell_length_c 10.179
_cell_angle_alpha 90.00
_cell_angle_beta 122.38
_cell_angle_gamma 90.00
_symmetry_space_group_name_H-M 'P 1 21/c 1'
_symmetry_Int_Tables_number 14
loop_
_symmetry_equiv_pos_as_xyz
'x,y,z'
'-x,-y,-z'
'-x,y+1/2,-z+1/2'
'x,-y+1/2,z+1/2'
loop_
_atom_site_label
_atom_site_fract_x
_atom_site_fract_y
_atom_site_fract_z
Zn1 0.000 0.000 0.000
Cu1 0.500 0.000 0.500
Ag1 0.262 0.037 0.751
F1 0.144 0.019 0.226
F2 0.264 0.700 0.045
F3 0.347 0.219 0.044
```

---

Entry 2:
Density functional theory data (PBE) for an optimized crystal structure of FeCuAg.

Output
For the density of states at the Fermi level, the calculation gives 0.402 states/eV per atom. Its crystal system is tetragonal. Its energy above the most stable polymorph in this dataset is 96.6 meV/atom.

CIF file:
```
data_FeCuAg
_chemical_formula_sum 'Fe2 Cu2 Ag2'
_cell_length_a 2.704
_cell_length_b 2.704
_cell_length_c 11.550
_cell_angle_alpha 90.00
_cell_angle_beta 90.00
_cell_angle_gamma 90.00
_symmetry_space_group_name_H-M 'I 4 m m'
_symmetry_Int_Tables_number 107
_symmetry_space_group_name_Hall 'I 4 -2'
loop_
_atom_site_label
_atom_site_fract_x
_atom_site_fract_y
_atom_site_fract_z
Fe1 0.000 0.000 0.000
Cu1 0.000 0.000 0.354
Ag1 0.000 0.000 0.679
```

---

Entry 3:
Density functional theory data (PBE) for an optimized crystal structure of Fe2CuAg.

Output
For the density of states at the Fermi level, the calculation gives 0.825 states/eV per atom. Its crystal system is orthorhombic. Its energy above the most stable polymorph in this dataset is 0.0 meV/atom.

CIF file:
```
data_Fe2CuAg
_chemical_formula_sum 'Fe4 Cu2 Ag2'
_cell_length_a 3.154
_cell_length_b 4.180
_cell_length_c 8.233
_cell_angle_alpha 90.00
_cell_angle_beta 90.00
_cell_angle_gamma 90.00
_symmetry_space_group_name_H-M 'C m m 2'
_symmetry_Int_Tables_number 35
loop_
_symmetry_equiv_pos_as_xyz
'x,y,z'
'-x,-y,z'
'-x,y,z'
'x,-y,z'
'x+1/2,y+1/2,z'
'-x+1/2,-y+1/2,z'
'-x+1/2,y+1/2,z'
'x+1/2,-y+1/2,z'
loop_
_atom_site_label
_atom_site_fract_x
_atom_site_fract_y
_atom_site_fract_z
Fe1 0.000 0.000 0.000
Fe2 0.000 0.500 0.223
Cu1 0.000 0.000 0.458
Ag1 0.000 0.500 0.726
```

---

Entry 4:
Density functional theory data (PBE) for an optimized crystal structure of Fe2CuAg.

Output
For the density of states at the Fermi level, the calculation gives 1.125 states/eV per atom. Its crystal system is cubic. Its energy above the most stable polymorph in this dataset is 238.4 meV/atom.

CIF file:
```
data_Fe2CuAg
_chemical_formula_sum 'Fe8 Cu4 Ag4'
_cell_length_a 6.049
_cell_length_b 6.049
_cell_length_c 6.049
_cell_angle_alpha 90.00
_cell_angle_beta 90.00
_cell_angle_gamma 90.00
********
Why Is It Important to Have an Upper Endoscopy and What Will the Doctor Be Looking for During My Exam?
Upper endoscopy is the gold standard for evaluating the upper digestive tract visually. It helps diagnose a variety of digestive disorders, such as stomach pain, ulcers, reflux, anemia, upper gastrointestinal bleeding, weight loss, nausea/vomiting, and difficulty swallowing. The endoscope’s camera allows for direct visualization of the lining of the esophagus, stomach, and duodenum.
In addition to visualization, our doctors can take biopsies of any abnormalities in the intestine lining, mass lesions, or any other abnormalities they detect. They may take biopsies even if the lining appears normal to the naked eye in order to diagnose infections such as H. pylori or to make a tissue diagnosis such as celiac disease or eosinophilic esophagitis.
Doctors can also use the endoscope to treat gastrointestinal bleeding or to remove foreign bodies if necessary. Upper endoscopy, in conjunction with other tests such as blood work, imaging, and etc., can help your gastroenterologist establish an accurate diagnosis and treatment plan for you.
Why Choose Manhattan Gastroenterology for Your Endoscopy?
At Manhattan Gastroenterology, we utilize cutting-edge medical technology, high-definition equipment, and imaging modalities to optimally visualize your bowel during your upper endoscopy in order to make a diagnosis and develop an effective treatment plan. Our gold-star-rated JCAHO procedure room has the necessary equipment to ensure the safety of your procedure while having your endoscopy performed. Our board-certified anesthesiologists will also be beside you throughout the surgery to ensure that you are comfortable and safe. Most importantly, our award-winning doctors will perform your procedure and help you get the answers you need.
Cleaning The Endoscope and High-Level Disinfection to Ensure Your Safety
At Manhattan Gastroenterology, we utilize the Advantage Plus endoscopic reprocessing machine. The ADVANTAGE PLUS™ is a fully automated, computer-based asynchronous endoscope reprocessor that separately monitors each endoscope channel for blockage and proper flow, ensuring complete high-level disinfection. Human error in the selection and connecting of hook-ups is eliminated by a computerized detection system. It is a cutting-edge system designed to ensure your safety and the highest level of infection control. To avoid contact with other instruments or surfaces, the device is placed on a special hanger until the next procedure. We go to great lengths to ensure the safety of your procedure.
What Is the Preparation for the Procedure?

It is critical not to eat or drink anything before the procedure, even water. Typically, such fasting is necessary for 8 hours before your exam. It gives a clear visual field and helps in the prevention of vomiting and aspiration, which is very important for your endoscopy procedure at our facility. Certain medications, such as blood pressure medication, can be taken the morning before the exam with a small sip of water. Still, you should discuss all your medications regimen with your doctor.
★ ★ ★ ★ ★I was experiencing a lot of discomfort, and my doctor recommended Manhattan Gastroenterology for me. I went there, and they recommended I have an endoscopy. It was not nearly as uncomfortable an experience as I thought, and the facility was very modern. They discovered that I had gastritis and recommended some changes in my diet, and told me to avoid stress. If I ignored it, it could have become worse. I feel much better today, thanks to this gastroenterologist.
What About Medications That I Take?
Before your treatment, you should discuss all medications you are taking with your gastroenterologist. Your doctor will advise you accurately if there is any reason to discontinue any of their use. Ensure to tell your gastroenterologist if you are allergic to any medications before having an upper endoscopy performed. At Manhattan Gastroenterology, we will be glad to discuss this with you before your procedure.
What Can I Expect When I Arrive and Immediately Before the Procedure?
When you arrive at the office, the staff will check you in and complete the necessary paperwork and consent forms. You will then be led to your dressing room where you will be able to change into your gown. The staff will ask you questions regarding your condition and the indications for the procedure, as well as make sure you are fasting adequately before the procedure. At that time, your vital signs will be taken, and any questions you may have will be answered.
Will I Receive Sedation?
After you’ve changed and checked in, our board-certified anesthesiologists will place an IV line in preparation for sedation for the procedure. The anesthesiologist will place a nasal canal for oxygen and attach EKG electrodes to your chest for safe monitoring during the procedure. Sedation will make it easier for you to tolerate any discomfort, such as pressure, bloating, or cramping. Our board-certified anesthesiologists are always on hand to ensure your comfort and safety throughout the procedure. Because we give sedation, you will require a driver to take you home, which you must arrange ahead of time.
What Can I Expect During the Procedure?

The specialist will ask you to lie on your left side before beginning the procedure. To help numb your throat, you may be given a topical anesthetic that is either sprayed or gargled. To protect your teeth from the endoscope, your doctor will place a bite block in your mouth. It’s important to remember that the scope is not larger than the food you’re swallowing, and it won’t interfere with your breathing. The anesthesiologist will then gradually administer the medication, making you sleepy.
The endoscope will then be inserted into your mouth and esophagus to examine the lining. During the exam, the anesthesiologist or an assistant may use suction to collect saliva, allowing you to avoid swallowing. In order to provide a better visual field, the specialist may also pump air into your stomach. Because you will be sedated, you will most likely feel no pain or discomfort and will fall asleep.
We use the most up-to-date high-definition imaging modalities for the best possible visualization of your upper digestive tract during endoscopy
What Is the Doctor Looking for During My Endoscopy and What Kind of Results Are Obtained?

During the procedure, our doctors use a high-definition video screen to control the movement of the endoscope and visualize the upper digestive tract. They carefully inspect the lining of your esophagus, stomach, and duodenum. If our endoscopy doctors discover an area that warrants additional investigation, they can insert instruments through the endoscope to retrieve a biopsy, a small tissue sample, for analysis. The sample will be sent to a laboratory to be distinguished between benign (non-cancerous) and malignant (cancerous) tissues. Biopsies can help identify many conditions. The doctor may take one even if they don’t suspect cancer to help diagnose other conditions.
Keep in mind that the doctor may take a biopsy for many reasons, even if cancer is not suspected. A biopsy, for example, can detect Helicobacter pylori, a bacterium that can cause ulcers. This test is generally well tolerated and causes no discomfort or pain. It also provides important information to the doctor in order for them to establish a proper diagnosis and treatment plan.
Upper endoscopy is the perfect tool for treating medical conditions in your upper gastrointestinal tract. A variety of instruments can be passed through the endoscope by the gastroenterologist with little or no discomfort to you. Upper endoscopy, for example, may be used to perform a cytology test, in which they pass a small brush through the endoscope to collect cells for later analysis. They can stretch or dilate a narrowed area, treat bleeding or remove polyps, which usually are benign growths, from the lining of your gastrointestinal tract.
┌──
1.
PBE LaYCl, optimized geometry; space-group type = I4mm, No. 107; raw formation energy = -2.23 eV per formula unit; distance to the lowest polymorph of the same formula = 0.198 eV per atom; VASP energy = -5.156 eV per atom
1.0
7.406 -0.002 0.000
5.717 4.708 0.000
-6.562 -2.353 2.501
Cl La Y
1 1 1
Direct
0.008 0.008 0.000
0.340 0.340 0.000
0.652 0.652 0.000

2.
PBE InHg2Pd2, optimized geometry; space-group type = P4/mbm, No. 127; distance to the lowest polymorph of the same formula = 0.000 eV per atom; VASP energy = -2.948 eV per atom
1.0
-1.298 7.014 0.481
-6.418 -1.382 2.831
1.569 0.045 3.579
Hg Pd In
4 4 2
Direct
0.155 0.655 0.500
0.655 0.845 0.500
0.845 0.345 0.500
0.345 0.155 0.500
0.355 0.855 0.000
0.855 0.645 0.000
0.645 0.145 0.000
0.145 0.355 0.000
0.000 0.000 0.000
0.500 0.500 0.000

~~~~~

First-principles (PBE) data for an optimized crystal structure of NbSbPtI2, as listed in Alexandria via LeMat-Bulk.

Cell lengths 5.305, 5.305, 5.593 Å; angles 90.00, 90.00, 90.00 degrees
Space group P4/mmm (No. 123)
Asymmetric unit:
Nb1 0.000 0.000 0.000 (multiplicity 1)
Sb1 0.000 0.000 0.500 (multiplicity 1)
Pt1 0.500 0.500 0.500 (multiplicity 1)
I1 0.000 0.500 0.000 (multiplicity 2)

## Properties
- Volume: 157.4 Å³/cell
- Final energy: -3.80 eV per atom
- Formation energy without anion corrections: 0.871 eV/atom
- Polymorph energy (0 for the lowest one): 0.0 meV per atom

~~~~~

Record 1
Pt7C | PBE | optimized geometry

a b c (Å): 5.5512 5.5512 5.5512
angles (deg): 60.00 60.00 60.00
Positions (direct):
Pt (0.0000, 0.0000, 0.0000)
Pt (0.0000, 0.0000, 0.5000)
Pt (0.0000, 0.5000, 0.0000)
Pt (0.0000, 0.5000, 0.5000)
Pt (0.5000, 0.0000, 0.0000)
Pt (0.5000, 0.0000, 0.5000)
Pt (0.5000, 0.5000, 0.0000)
C (0.5000, 0.5000, 0.5000)

The calculation puts the energy of formation from the pure elements at 0.655 eV per atom. Its symmetry is Fm-3m, No. 225. As for the density: 18.912 g/cm³.



Record 2
PtC3 | PBE | optimized geometry

a b c (Å): 2.6277 2.6277 5.0140
angles (deg): 90.00 90.00 90.00
Positions (direct):
Pt (0.0000, 0.0000, 0.0000)
C (0.0000, 0.5000, 0.6702)
C (0.5000, 0.0000, 0.3298)
C (0.5000, 0.5000, 0.5000)

The calculation puts the energy of formation from the pure elements at 0.703 eV per atom. Its symmetry is P-4m2, No. 115. As for the density: 11.085 g/cm³.



Record 3
PtC3 | PBE | optimized geometry
└──
How Long Does an Endoscopy Take?
The procedure usually takes 15-20 minutes or less and is performed at our JCAHO certified office-based surgery unit. However, due to the time required for preparation and recovery, expect to spend two to three hours at the office. If you were sedated, you would need someone to drive you home after the procedure.
Recovering from an Upper Endoscopy
Our board-certified anesthesiologists are always on hand to ensure your comfort and safety during your procedure. The office staff will monitor your recovery until the sedatives wear off following the endoscopy. You may experience some cramping, bloating, or nausea as a result of the air introduced into your stomach during the examination, but this should be brief. Before you are released, your doctor will explain what, if anything, they discovered, even though the results of any biopsies are not yet known. Again, because you have been sedated, you must have someone drive you home and stay with you until you are released. Even if you feel awake, your judgment and reflexes may be impaired for the next 12-24 hours. Unless we instruct you differently, you can eat after the procedure.
Endoscopy Complications
In general, endoscopy is a very safe procedure when performed by trained and experienced gastroenterologists. Complications are rare, but the most severe is a perforation which may require surgery to repair. Other complications include bleeding from the site of a biopsy. Complications might cause severe abdominal pain, fever, chills, or rectal bleeding, among other symptoms. While these complications are rare, you should notify your doctor right away if you notice them or any other symptoms that concern you. We would be glad to discuss this with you.
How many days do I need to take off work?
You will need to take the day off from work for the procedure.
How Long Do EGD Results Take?
Some results from an upper GI endoscopy are available the same day as the procedure. However, if you’ve received a biopsy, the results can take 72 to 96 hours or longer to come back.
How Much Does an Upper Endoscopy Cost in New York?
The average cost of upper gi endoscopy in New York is $1,961. When a doctor orders an endoscopy, it is usually covered by insurance, but you must still meet your deductible and pay the copay or coinsurance. Without insurance, you will be responsible for the entire cost of the procedure, including doctor fees, prescriptions, and lab fees.
For more information about an upper endoscopy in NYC or to schedule an endoscopy appointment with one of our GI doctors, please contact our Midtown or Upper East Side NYC offices. As best-in-class gastroenterologists in NYC, we provide highly personalized and comprehensive care. Our philosophies regarding the doctor/patient relationship are based on trust and have earned us some of the most respected reputations in NYC.